Assignment:
Now set down the part of the listing below that starts with the line with "(-1.11, -0.01," and stops after the one with "1.66)".
File:
/*
No. 1
A molecular structure, C45H45AsBeClN4O. Source: the Open Molecules 2025 dataset; level of theory: the ωB97M-V functional and the def2-TZVPD basis.

calculated total energy	-129163.882	eV
net charge	+1
E_HOMO	-0.393	Ha

Each line ends with the Löwdin charge.
Atoms and positions in Å:
Be (-0.56, -1.73, 0.54)  0.01
C (-0.72, -1.36, 4.59)  -0.04
C (-1.18, -2.65, 4.87)  -0.03
C (-1.43, -3.53, 3.83)  0.02
C (-1.24, -3.12, 2.52)  -0.18
N (-0.79, -1.86, 2.26)  0.04
C (-0.54, -1.02, 3.27)  -0.11
C (-1.47, -3.93, 1.31)  -0.19
C (-1.98, -5.23, 1.36)  -0.02
C (-2.21, -5.91, 0.17)  -0.07
C (-1.94, -5.29, -1.04)  -0.07
C (-1.43, -4.00, -1.07)  -0.10
C (-1.17, -3.28, 0.09)  -0.13
H (-0.51, -0.65, 5.37)  0.11
H (-1.33, -2.96, 5.89)  0.12
H (-1.75, -4.54, 4.04)  0.12
H (-0.14, -0.04, 3.01)  0.11
H (-2.19, -5.72, 2.30)  0.11
H (-2.60, -6.92, 0.20)  0.11
H (-2.14, -5.82, -1.97)  0.11
H (-1.22, -3.55, -2.04)  0.09
C (0.61, 5.78, -0.54)  -0.04
C (0.06, 4.35, -0.36)  -0.50
C (0.06, 4.07, 1.15)  -0.04
C (1.04, 3.39, -1.05)  -0.03
C (-1.40, 4.28, -0.93)  -0.42
O (-2.17, 5.36, -0.38)  -0.01
C (-1.42, 4.36, -2.48)  -0.11
C (-2.77, 4.72, -3.12)  -0.12
C (-3.75, 3.59, -3.32)  -0.24
C (-5.02, 3.63, -2.74)  -0.05
C (-5.92, 2.59, -2.91)  -0.10
C (-5.56, 1.50, -3.68)  -0.68
Cl (-6.68, 0.19, -3.89)  0.67
C (-4.32, 1.45, -4.29)  -0.10
C (-3.43, 2.49, -4.11)  -0.05
C (-2.26, 3.11, -0.40)  -0.02
N (-1.75, 1.75, -0.58)  -0.06
C (-1.48, 0.88, 0.38)  -0.08
N (-1.06, -0.25, -0.17)  0.05
C (-1.11, -0.01, -1.51)  -0.13
N (-1.53, 1.20, -1.80)  0.17
H (1.67, 5.79, -0.28)  0.09
H (0.10, 6.49, 0.11)  0.09
H (0.54, 6.13, -1.58)  0.08
H (1.02, 4.38, 1.58)  0.09
H (-0.05, 3.01, 1.38)  0.06
H (-0.72, 4.64, 1.66)  0.09
H (2.03, 3.52, -0.60)  0.07
H (1.12, 3.60, -2.12)  0.09
H (0.76, 2.34, -0.93)  0.06
H (-1.83, 6.19, -0.71)  0.10
H (-1.06, 3.41, -2.88)  0.10
H (-0.70, 5.13, -2.78)  0.11
H (-2.56, 5.16, -4.10)  0.13
H (-3.25, 5.51, -2.53)  0.11
H (-5.30, 4.48, -2.13)  0.12
H (-6.90, 2.63, -2.45)  0.11
H (-4.06, 0.59, -4.91)  0.11
H (-2.45, 2.44, -4.59)  0.12
H (-3.24, 3.17, -0.86)  0.13
H (-2.37, 3.25, 0.67)  0.13
H (-1.60, 1.07, 1.43)  0.15
H (-0.85, -0.74, -2.26)  0.13
C (5.02, -1.97, -2.85)  -0.07
C (3.69, -1.80, -3.18)  -0.07
C (2.73, -1.75, -2.18)  -0.11
C (3.10, -1.86, -0.85)  -0.39
C (4.44, -2.03, -0.51)  -0.09
C (5.40, -2.09, -1.51)  -0.06
As (1.79, -1.80, 0.58)  1.42
C (2.14, -3.51, 1.43)  -0.35
C (2.23, -4.59, 0.55)  -0.10
C (2.34, -5.89, 1.04)  -0.06
C (2.37, -6.12, 2.41)  -0.07
C (2.27, -5.05, 3.28)  -0.07
C (2.15, -3.75, 2.80)  -0.10
C (2.58, -0.35, 1.61)  -0.36
C (2.84, 0.81, 0.87)  -0.12
C (3.35, 1.95, 1.48)  -0.08
C (3.61, 1.94, 2.85)  -0.07
C (3.35, 0.80, 3.59)  -0.07
C (2.83, -0.33, 2.98)  -0.10
H (5.78, -2.01, -3.63)  0.11
H (3.40, -1.72, -4.22)  0.11
H (1.68, -1.63, -2.44)  0.09
H (4.74, -2.13, 0.53)  0.11
H (6.44, -2.22, -1.25)  0.11
H (2.20, -4.42, -0.52)  0.11
H (2.41, -6.72, 0.34)  0.11
H (2.46, -7.13, 2.79)  0.11
H (2.29, -5.22, 4.35)  0.11
H (2.04, -2.95, 3.51)  0.07
H (2.66, 0.82, -0.20)  0.10
H (3.56, 2.83, 0.89)  0.10
H (4.02, 2.82, 3.32)  0.11
H (3.55, 0.79, 4.65)  0.11
H (2.64, -1.20, 3.59)  0.07

***

No. 2
A molecular structure, C45H45BrF5N3O8PSSeTa. Source: the Open Molecules 2025 dataset; level of theory: the ωB97M-V functional and the def2-TZVPD basis.

calculated total energy	-238904.301	eV
E_HOMO	-0.298	Ha
relative energy (zero: lowest compared OMol25 entry of this formula, charge and spin)	32.88	kJ/mol

Each line ends with the Löwdin charge.
Atoms and positions in Å:
Ta (-0.68, 0.62, -0.78)  1.45
O (-1.81, -1.78, 2.74)  0.06
C (-0.57, -1.96, 3.23)  -0.26
C (-0.45, -2.22, 4.59)  -0.01
C (0.79, -2.42, 5.17)  -0.08
C (1.94, -2.37, 4.39)  -0.09
C (1.82, -2.12, 3.03)  -0.05
C (0.58, -1.91, 2.44)  -0.11
C (0.52, -1.72, 0.94)  -0.36
O (-0.38, -0.72, 0.57)  -0.34
N (0.07, -2.98, 0.35)  0.03
N (0.08, -2.94, -1.02)  0.02
C (0.31, -4.03, -1.64)  -0.20
C (0.28, -4.13, -3.10)  -0.61
Br (-0.44, -2.65, -4.02)  0.90
C (0.70, -5.25, -3.70)  -0.10
*/
Reply:
C (-1.11, -0.01, -1.51)  -0.13
N (-1.53, 1.20, -1.80)  0.17
H (1.67, 5.79, -0.28)  0.09
H (0.10, 6.49, 0.11)  0.09
H (0.54, 6.13, -1.58)  0.08
H (1.02, 4.38, 1.58)  0.09
H (-0.05, 3.01, 1.38)  0.06
H (-0.72, 4.64, 1.66)  0.09